**Entries**
<<<
(1)
Diffraction record for PmNbN2O. The powder XRD pattern is calculated, not measured: it uses DFT lattice parameters and positions (GGA-PBE) and copper Kα.

Top 6 peaks for 10 to 90 degrees two-theta, sorted by position:
| 2θ/deg | intensity |
| --- | --- |
| 27.81 | 28 |
| 30.68 | 38 |
| 31.84 | 100 |
| 32.64 | 46 |
| 50.30 | 22 |
| 60.08 | 24 |

Cell and atoms:
a b c (Å): 3.7446 6.2199 5.8280
angles (deg): 90.00 90.00 90.00
Fractional coordinates of all 10 atoms:
Pm  0.0000  0.1599  0.0000
Pm  0.0000  0.8401  0.5000
Nb  0.5000  0.3202  0.5363
Nb  0.5000  0.6798  0.0363
N  0.0000  0.2179  0.5924
N  0.0000  0.7821  0.0924
N  0.5000  0.4078  0.8870
N  0.5000  0.5922  0.3870
O  0.5000  0.0883  0.2791
O  0.5000  0.9117  0.7791

=====

(2)
Diffraction record for PmNbN2O. The powder XRD pattern is calculated, not measured: it uses DFT lattice parameters and positions (GGA-PBE) and copper Kα.

Top 6 peaks for 10 to 90 degrees two-theta, sorted by position:
| 2θ/deg | intensity |
| --- | --- |
| 31.11 | 50 |
| 31.66 | 100 |
| 44.56 | 26 |
| 55.63 | 22 |
| 55.75 | 21 |
| 56.75 | 22 |

Cell and atoms:
a b c (Å): 7.8588 5.7597 5.7421
angles (deg): 90.00 90.00 90.00
Fractional coordinates of all 20 atoms:
Pm  0.0000  0.2320  0.0000
Pm  0.0000  0.7680  0.5000
Pm  0.5000  0.2681  0.0041
Pm  0.5000  0.7319  0.5041
Nb  0.2499  0.2500  0.4952
Nb  0.2499  0.7500  0.9952
Nb  0.7501  0.2500  0.4952
Nb  0.7501  0.7500  0.9952
N  0.1921  0.0039  0.2752
N  0.1921  0.9961  0.7752
N  0.3077  0.4989  0.2781
N  0.3077  0.5011  0.7781
N  0.6923  0.4989  0.2781
N  0.6923  0.5011  0.7781
N  0.8079  0.0039  0.2752
N  0.8079  0.9961  0.7752
O  0.0000  0.3584  0.5422
O  0.0000  0.6416  0.0422
O  0.5000  0.1418  0.5391
O  0.5000  0.8582  0.0391

=====

(3)
Diffraction record for PmNbN2O. The powder XRD pattern is calculated, not measured: it uses DFT lattice parameters and positions (GGA-PBE) and copper Kα.

Top 6 peaks for 10 to 90 degrees two-theta, sorted by position:
| 2θ/deg | intensity |
| --- | --- |
| 31.11 | 50 |
| 31.65 | 100 |
| 44.56 | 26 |
| 55.63 | 22 |
| 55.74 | 21 |
| 56.72 | 22 |

Cell and atoms:
a b c (Å): 5.6566 5.6566 5.6566
angles (deg): 91.93 118.80 118.98
Fractional coordinates of all 10 atoms:
Pm  0.0180  0.2500  0.2680
Pm  0.9820  0.7500  0.7320
Nb  0.4925  0.4925  0.0000
Nb  0.4925  0.9925  0.5000
N  0.0256  0.2158  0.6941
N  0.0256  0.8315  0.3097
N  0.5218  0.3315  0.3059
N  0.5218  0.7158  0.6903
O  0.4272  0.7855  0.1417
O  0.6437  0.2855  0.8583

=====

(4)
Diffraction record for PmNbN2O. The powder XRD pattern is calculated, not measured: it uses DFT lattice parameters and positions (GGA-PBE) and copper Kα.

Top 6 peaks for 10 to 90 degrees two-theta, sorted by position:
| 2θ/deg | intensity |
| --- | --- |
| 31.46 | 100 |
| 31.54 | 27 |
| 31.99 | 28 |
| 45.54 | 24 |
| 56.12 | 22 |
| 56.67 | 22 |

Cell and atoms:
a b c (Å): 7.9604 8.1215 11.1924
angles (deg): 90.00 134.55 90.00
Fractional coordinates of all 40 atoms:
Pm  0.2300  0.0055  0.4884
Pm  0.2300  0.4945  0.9884
Pm  0.2430  0.5047  0.4991
Pm  0.2430  0.9953  0.9991
Pm  0.7570  0.0047  0.0009
Pm  0.7570  0.4953  0.5009
Pm  0.7700  0.5055  0.0116
Pm  0.7700  0.9945  0.5116
Nb  0.2629  0.2433  0.2544
Nb  0.2629  0.2567  0.7544
Nb  0.2636  0.7468  0.2600
Nb  0.2636  0.7532  0.7600
Nb  0.7364  0.2468  0.2400
Nb  0.7364  0.2532  0.7400
Nb  0.7371  0.7433  0.2456
Nb  0.7371  0.7567  0.7456
N  0.1955  0.0024  0.2147
N  0.1955  0.4976  0.7147
N  0.2247  0.5026  0.2471
N  0.2247  0.9974  0.7471
N  0.4353  0.7325  0.9984
N  0.4353  0.7675  0.4984
N  0.4363  0.2442  0.6880
N  0.4363  0.2558  0.1880
N  0.5637  0.7442  0.8120
N  0.5637  0.7558  0.3120
N  0.5647  0.2325  0.5016
N  0.5647  0.2675  0.0016
N  0.7753  0.0026  0.2529
N  0.7753  0.4974  0.7529
N  0.8045  0.5024  0.2853
N  0.8045  0.9976  0.7853
O  0.0790  0.7380  0.9975
O  0.0790  0.7620  0.4975
O  0.0819  0.2453  0.8341
O  0.0819  0.2547  0.3341
O  0.9181  0.7453  0.6659
O  0.9181  0.7547  0.1659
>>>

**Request**
Please copy the lines above up to the one that holds "31.46", that line included.

**Solution**
(1)
Diffraction record for PmNbN2O. The powder XRD pattern is calculated, not measured: it uses DFT lattice parameters and positions (GGA-PBE) and copper Kα.

Top 6 peaks for 10 to 90 degrees two-theta, sorted by position:
| 2θ/deg | intensity |
| --- | --- |
| 27.81 | 28 |
| 30.68 | 38 |
| 31.84 | 100 |
| 32.64 | 46 |
| 50.30 | 22 |
| 60.08 | 24 |

Cell and atoms:
a b c (Å): 3.7446 6.2199 5.8280
angles (deg): 90.00 90.00 90.00
Fractional coordinates of all 10 atoms:
Pm  0.0000  0.1599  0.0000
Pm  0.0000  0.8401  0.5000
Nb  0.5000  0.3202  0.5363
Nb  0.5000  0.6798  0.0363
N  0.0000  0.2179  0.5924
N  0.0000  0.7821  0.0924
N  0.5000  0.4078  0.8870
N  0.5000  0.5922  0.3870
O  0.5000  0.0883  0.2791
O  0.5000  0.9117  0.7791

=====

(2)
Diffraction record for PmNbN2O. The powder XRD pattern is calculated, not measured: it uses DFT lattice parameters and positions (GGA-PBE) and copper Kα.

Top 6 peaks for 10 to 90 degrees two-theta, sorted by position:
| 2θ/deg | intensity |
| --- | --- |
| 31.11 | 50 |
| 31.66 | 100 |
| 44.56 | 26 |
| 55.63 | 22 |
| 55.75 | 21 |
| 56.75 | 22 |

Cell and atoms:
a b c (Å): 7.8588 5.7597 5.7421
angles (deg): 90.00 90.00 90.00
Fractional coordinates of all 20 atoms:
Pm  0.0000  0.2320  0.0000
Pm  0.0000  0.7680  0.5000
Pm  0.5000  0.2681  0.0041
Pm  0.5000  0.7319  0.5041
Nb  0.2499  0.2500  0.4952
Nb  0.2499  0.7500  0.9952
Nb  0.7501  0.2500  0.4952
Nb  0.7501  0.7500  0.9952
N  0.1921  0.0039  0.2752
N  0.1921  0.9961  0.7752
N  0.3077  0.4989  0.2781
N  0.3077  0.5011  0.7781
N  0.6923  0.4989  0.2781
N  0.6923  0.5011  0.7781
N  0.8079  0.0039  0.2752
N  0.8079  0.9961  0.7752
O  0.0000  0.3584  0.5422
O  0.0000  0.6416  0.0422
O  0.5000  0.1418  0.5391
O  0.5000  0.8582  0.0391

=====

(3)
Diffraction record for PmNbN2O. The powder XRD pattern is calculated, not measured: it uses DFT lattice parameters and positions (GGA-PBE) and copper Kα.

Top 6 peaks for 10 to 90 degrees two-theta, sorted by position:
| 2θ/deg | intensity |
| --- | --- |
| 31.11 | 50 |
| 31.65 | 100 |
| 44.56 | 26 |
| 55.63 | 22 |
| 55.74 | 21 |
| 56.72 | 22 |

Cell and atoms:
a b c (Å): 5.6566 5.6566 5.6566
angles (deg): 91.93 118.80 118.98
Fractional coordinates of all 10 atoms:
Pm  0.0180  0.2500  0.2680
Pm  0.9820  0.7500  0.7320
Nb  0.4925  0.4925  0.0000
Nb  0.4925  0.9925  0.5000
N  0.0256  0.2158  0.6941
N  0.0256  0.8315  0.3097
N  0.5218  0.3315  0.3059
N  0.5218  0.7158  0.6903
O  0.4272  0.7855  0.1417
O  0.6437  0.2855  0.8583

=====

(4)
Diffraction record for PmNbN2O. The powder XRD pattern is calculated, not measured: it uses DFT lattice parameters and positions (GGA-PBE) and copper Kα.

Top 6 peaks for 10 to 90 degrees two-theta, sorted by position:
| 2θ/deg | intensity |
| --- | --- |
| 31.46 | 100 |